Today we've got an interview with the man, the legend, Gerry Vaillancourt. We had to go through three agents, two guard dogs and a restraining order to get our questions asked, but it was all worth it in the end. Gerry has been with the Hornets for the past 18 seasons and teams up with play-by-play broadcaster Sean Kelley to voice each game on the Hornets Radio Network. Here's what he had to tell us…
Let's get right to it: New Orleans needs you back on the radio waves in the afternoon. Any chance of that happening?
I'm currently on 99.5 WRNO FM on Saturdays and Sundays. I will eventually be back on daily. When we moved to Oklahoma City I was doing the show there and when we moved back (after having been away) management changed and resources were pooled for WRNO the upcoming newstalker. New Orleans needs another sportstalk show on a daily basis. They need an option. The fans are too solid here not to have one.
[Calculated molecules from another source follow]
Molecular formula: C8H14NO3S2
Method: DFT, the ωB97M-V functional and the def2-TZVPD basis

Calculated values
**M**: 236.34 g/mol
**Max |F|**: 4.18 eV/Å
**Total charge**: +1
**HOMO**: -13.903 eV
**ΔE to the lowest compared entry with this formula, charge and spin**: 18.0 kcal/mol
**Calculated total energy**: -1389.66432 hartree

Bonds (Å) are listed after each position.
CARTESIAN COORDINATES (ANGSTROEM)
1 C 0.114 -3.430 -1.705  C2 1.462, C3 1.353, H15 1.124
2 C -0.531 -2.835 -0.535  C1 1.462, C4 1.293, H16 1.158
3 C 1.161 -2.716 -2.177  C1 1.353, S13 1.784, H17 1.166
4 C 0.056 -1.722 -0.235  C2 1.293, S13 1.825, S14 1.791
5 C -1.323 0.825 -1.535  C7 1.537, H18 1.146, H19 1.072, H20 1.188
6 C 0.179 2.225 2.514  C8 1.556, H21 1.112, H22 1.138, H23 1.094
7 C -1.052 1.452 -0.158  C5 1.537, N9 1.471, H24 1.052, H25 1.043
8 C 0.938 1.927 1.189  C6 1.556, N9 1.459, H26 1.151, H27 1.107
9 N 0.242 0.964 0.341  C7 1.471, C8 1.459, S14 1.841, H28 1.010
10 O 1.050 -0.878 1.941  S14 1.424
11 O -1.456 -0.525 1.749  S14 1.451
12 O 1.972 -0.219 -1.251  S13 1.481
13 S 1.758 -1.639 -0.887  C3 1.784, C4 1.825, O12 1.481
14 S -0.126 -0.635 1.177  C4 1.791, N9 1.841, O10 1.424, O11 1.451
15 H -0.405 -4.318 -2.161  C1 1.124
16 H -1.503 -3.332 -0.149  C2 1.158
17 H 1.782 -3.094 -3.090  C3 1.166
18 H -2.355 1.289 -1.713  C5 1.146
19 H -0.535 1.281 -2.101  C5 1.072
20 H -1.272 -0.358 -1.630  C5 1.188
21 H 0.777 1.830 3.365  C6 1.112
22 H 0.192 3.337 2.753  C6 1.138
23 H -0.841 1.908 2.754  C6 1.094
24 H -1.832 1.249 0.519  C7 1.052
25 H -1.078 2.484 -0.304  C7 1.043
26 H 2.008 1.510 1.268  C8 1.151
27 H 1.268 2.731 0.504  C8 1.107
28 H 0.812 0.690 -0.446  N9 1.010

These are the natural (NBO) partial charges, in e, on atoms 1 to 2: atom 1 (C): -0.199, atom 2 (C): -0.127

* * * * *

No. 1
Entry from OMol25: 11 unconnected molecules or ions with the total composition C66H94N17O19P3 in a non-equilibrium geometry (the ωB97M-V functional and the def2-TZVPD basis).

The geometry in XYZ format:
```
199
Properties=species:S:1:pos:R:3:lowdin_charge:R:1
C -22.02 13.50 6.89 -0.11
C -21.41 12.37 6.39 -0.06
C -21.33 12.34 5.04 -0.04
C -21.79 13.34 4.11 -0.08
C -22.43 14.43 4.76 0.01
C -22.54 14.55 6.16 -0.05
N -21.53 13.30 2.62 -0.33
O -20.46 12.74 2.34 0.06
O -22.13 14.04 1.87 0.08
H -22.16 13.58 7.95 0.10
H -21.03 11.58 7.02 0.12
H -20.68 11.55 4.68 0.09
H -22.84 15.15 4.07 0.10
H -22.90 15.39 6.73 0.11
C -16.79 8.15 6.62 -0.11
C -17.65 9.11 7.17 -0.07
C -17.90 9.04 8.54 -0.03
C -17.41 8.06 9.35 -0.12
C -16.58 7.12 8.72 0.01
C -16.24 7.22 7.37 -0.09
N -17.69 7.92 10.84 -0.31
O -18.47 8.69 11.38 0.08
O -17.12 7.02 11.47 0.05
H -16.46 8.48 5.65 0.10
H -18.04 9.84 6.48 0.11
H -18.68 9.65 8.96 0.12
H -16.13 6.29 9.24 0.12
H -15.43 6.60 7.01 0.11
C -30.84 5.85 1.46 -0.11
C -31.28 6.06 2.75 -0.05
C -30.37 6.01 3.82 0.02
C -29.03 6.10 3.49 -0.15
C -28.59 5.97 2.17 0.03
C -29.54 5.70 1.14 -0.06
N -28.05 6.37 4.53 -0.36
O -28.47 6.11 5.62 0.10
O -26.97 6.82 4.27 0.08
[So much for the calculated molecules]
Currently I'm doing several different projects: my new Basketball Academy… TV projects… segments with out of town sportstalkers… Hornets games, plus a Hornets radio show and I will add to that. I could be doing a daily show now but moving is not in my plans. My wife and her family are from New Orleans plus I have a pretty damn good job doing the NBA (my upcoming 19th year).
What do you think of the Hornets offseason thus far?
The offseason landed James Posey. I'm sure the team is not done. As we speak they are working on the Pargo deal and will try to settle that. Also there's a need for another player that can go get it! A REBOUNDER/POST DEFENDER. Jeff Bower has a special way of doing things. When you think all is silent… BOOM! he gets something done. He is a very astute and talented man.
Let's get to some old school stuff. You've been on board with the Hornets since the early days in Charlotte. What do you consider to be the highest and lowest moments for the franchise to date?
The highest moment for the organization for me was the first jumpball I watched to open their first game as an NBA team. That was special. The lowest moment was when I got word we were moving out of Charlotte to New Orleans. I say that because the relationship between the team and the city for several years was very special. 20,000 fans per night and leading the league in attendance for those years. However the down moment became a bright tone as we have all adapted. I met my wife here in New Orleans and we have a special team plus a fan base that's wrapped their arms around us and we of them.
Also I am very thankful and will never forget the way the fans in Oklahoma City treated us. Superb! Great people! I got to know many of them with my Hornets work and my afternoon drive show at KTOK radio during our stay.
What would be your all-time Hornets starting five?
My All-Time starting five is a tough one because of the relationships you establish over the years. Chris Paul, Dell Curry, Alonzo Mourning, Rex Chapman, David West. There could easily be the entire starting five of the current team but I have to respect the friendships of the past. David Wesley was one of my favorite people. Kendall Gill, Tim Kempton, Vlade Divac… all were special people. I hope I didn't miss anyone.
What do you think was the best single play in Hornets history?
Next to the page, the page also holds records of molecules =
+++
(1)
The following is a DFT calculation (ωB97M-V with the def2-TZVPD basis set) of a single CH6NPS molecule at a distorted geometry.

Last column: Löwdin charge in e.
Element x y z (Å)
C (0.8013, -0.3906, 0.5506)  -0.2616
S (-0.4905, 0.6681, -0.1917)  0.3799
N (-0.4875, 2.0190, 0.6121)  -0.3823
P (-2.4744, -0.2306, -0.2781)  0.3772
H (0.6822, -1.4353, 0.3548)  0.0452
H (1.7483, -0.1588, 0.2492)  0.0120
H (0.6757, -0.3569, 1.6384)  0.0658
H (0.1807, 0.6284, -1.4998)  0.0450
H (-1.4328, 2.4714, 0.5261)  -0.0014
H (-2.4172, -0.7496, -1.5714)  -0.2798

SMILES string: C[S@H](=N)=P
Total energy: -22744.1126 eV
ΔE to the lowest compared entry with this formula, charge and spin: 107.6 kcal per mole
Total charge: 0
Kohn-Sham gap: 0.2871 hartree



(2)
The following is a DFT calculation (ωB97M-V with the def2-TZVPD basis set) of 2 unconnected molecules or ions with the total composition CH6NS at a distorted geometry.

Last column: Löwdin charge in e.
Element x y z (Å)
N (-1.9491, 0.7146, -0.1752)  -0.0487
H (-2.0452, -0.2282, 0.1897)  -0.0199
H (-0.9757, 0.7157, -0.5023)  -0.1373
H (-2.4537, 0.6537, -1.0566)  -0.0197
C (1.5311, -0.3883, 0.4633)  -0.6907
S (0.9986, -0.2663, -1.3077)  0.0038
H (2.2887, 0.3688, 0.6372)  -0.0312
H (0.7174, -0.1638, 1.1591)  -0.0217
H (1.8879, -1.4062, 0.5924)  -0.0345

Total energy: -13460.3941 eV
ΔE to the lowest compared entry with this formula, charge and spin: 2.6 kcal per mole
Total charge: -1
Kohn-Sham gap: 0.2470 hartree



(3)
The following is a DFT calculation (ωB97M-V with the def2-TZVPD basis set) of 2 unconnected molecules or ions with the total composition CH6NS at a distorted geometry.

Last column: Löwdin charge in e.
Element x y z (Å)
N (-0.3036, -2.2355, -1.9922)  0.0088
H (-1.0700, -1.7269, -2.3526)  -0.0278
H (-0.7567, -2.9703, -1.4586)  -0.0015
H (0.1841, -1.6449, -1.3317)  0.0032
C (0.3282, 1.8164, 1.3893)  -0.7851
S (1.4294, 0.4484, 1.8912)  -0.0992
H (0.5127, 2.7275, 1.9543)  -0.0302
H (0.3938, 1.9672, 0.3105)  -0.0320
H (-0.7178, 1.6181, 1.5899)  -0.0363

Total energy: -13460.2137 eV
ΔE to the lowest compared entry with this formula, charge and spin: 6.8 kcal per mole
Total charge: -1
Kohn-Sham gap: 0.2230 hartree



(4)
The following is a DFT calculation (ωB97M-V with the def2-TZVPD basis set) of 2 unconnected molecules or ions with the total composition CH6NS.

Last column: Löwdin charge in e.
Element x y z (Å)
S (2.4014, -0.5630, 2.0518)  0.3340
H (1.5577, -0.3504, 3.0735)  -0.3013
C (-1.0259, 0.0386, -0.3968)  -0.2080
N (0.0663, 0.6226, -1.1926)  -0.0772
H (-1.9606, 0.1293, -0.9425)  0.0632
H (-1.1119, 0.6014, 0.5302)  0.0585
H (-0.8756, -1.0160, -0.1448)  0.0590
H (0.9483, 0.2705, -0.8352)  0.0209
H (0.0004, 0.2671, -2.1438)  0.0509

Total energy: -13457.8519 eV
ΔE to the lowest compared entry with this formula, charge and spin: 10.7 kcal per mole
Total charge: 0
2S+1: 2
Kohn-Sham gap (spin up / spin down): 0.3755 / 0.2438 hartree


1.
+++
The best play or game? The current team has given us some great moments. Beating Dallas in the first round this year was special. Alonzo dropping 33 with 7 rebounds against the Celtics in the '93 Playoffs plus nailing the winner! Very special night as it was early in the team's history.
Can you give us any insight as to why Darrell Walker preferred to take an assistant coaching job with the Pistons rather than stay as Byron Scott's lead assistant in New Orleans?
I was surprised he left coming of the terrific year the team had. I heard the grapevine say he got a four-year contract which is nice security in this business. It seemed he had a very nice relationship with the staff so I'm banking that was the reason.
How do you rate the performances of Hilton Armstrong and Julian Wright at the Vegas Summer League last month?
Lets hope the summer brings us a Hilton Armstrong that is more consistent in his play. He could give you a series of good moments but then display some slippage. He needs to become a solid defender in the post and react quicker in the defensive scheme of things. You want him to be able to finish more plays.
Julian is a player that will do things "among the group." Deflections… steals… run the floor and defend. They used him at the point or point forward position in the summer league to help his confidence handling the ball and aid in his decision making. Plus it allows him to better learn and see the game. I love his length and team play. His summer play was a way to experiment and put him in different positions and situations. He'll help this team as we all saw what defense did in the NBA finals.
In the NBA it's "can you do something well… and can you do it again and again?" More consistency is needed from both players. Julian will be fine. Armstrong needs to make it happen more often.
How does Bob Licht get his hair looking so picturesque on TV all the time?
Bob gets lot of fan mail about his hair. I promised not to tell but i love "bustin' chops" so I'll tell you his hair secret… yogurt… glue and a wig.
When chicks think you're hot ya gotta do what ya gotta do.
You travel with the team to voice the road games. Any crazy stories from those trips over the years?
Road trip stories? I have some that would lay you out on the ground laughing. I'll tell one about myself…
When you travel a lot you sometimes forget your hotel room number. I remember trying to open the door to the wrong room. It was late and I had just celebrated with some old friends I hadn't seen in several years. I kept trying to open the door and a voice inside the room with a foreign accent kept yelling "Get away or I call police! … Police! Police! … I call police."
I respond "Oh yeah? I wanna see you explain how you got in my room! Open the door!"
We both call security as this poor guy is in a panic. Security shows up and we have to show ID. It turns out I was on the wrong floor. Seccurity says it happens all the time. The guy opens the door and isn't angry as he said he's tried to open the wrong room before. He travels a lot. The funny moment for me was the guy was about 5-foot 2-inches tall and lets say he's hurtin' in the looks department. However this woman is standing next to him who looks like a model! Just a knockout. She says "Honey everything will be fine… lets go back and play."
Picture security and myself with this look on our faces. This lil high voice guy and a stunning woman… simply stunning. She was his wife!!!
Byron Scott has become known as an elite coach. Is there anything in particular that you think sets him apart from other coaches in the NBA?
Byron Scott is a very good coach. I feel he has gotten better every year that I've watched him work. Plus he is great to work with. He is a straight talking coach who will be very honest with you. He has a gifted sense of humor and is a pleasure to be around. What sets him apart from others is his sense of knowing "when to work and when to play."
He takes his basketball very seriously. He knows when there is work to be done. What's special is his ability to step back and share a good story and laugh with you. I enjoy his company very much and respect his work. He simply "gets it." A good man.
Is there anything we haven't asked that you want to tell us?
This summer I enjoyed my new "Gerry V Basketball Academy." We had sessions for players that currently play on their school teams. Grades 6-8th. The kids were terrific as we really got into some serious basketball. I was most impressed with how they responded to the different aspects of the game. We treated each group as if they were a college team. I was amazed at how well they were able to grasp all we taught (and believe me it wasn't a baby sitting camp). They worked and had fun. I enjoyed being on the coaching floor again and teaching the game six hours a day. (Yes, I was tired at the end of the session.)
Unrelated to this piece: calculated molecules >
┌──
(1)
Formula: C31H55O5SSiY
Source: the Open Molecules 2025 dataset
Level of theory: wB97M-V/def2-TZVPD

Element x y z (Å)
O (4.79226, -1.78716, -3.84651)
C (5.41717, -3.13497, -3.90469)
C (6.48724, -2.69674, -4.87080)
H (4.72633, -3.87854, -4.32543)
H (5.86311, -3.45838, -2.95538)
C (5.76583, -1.33595, -4.85056)
H (6.42820, -3.17207, -5.84866)
H (7.48937, -2.65253, -4.43655)
C (5.14933, -1.04496, -6.20666)
H (4.37408, -1.77697, -6.47136)
H (5.94433, -1.07650, -6.96726)
H (4.71196, -0.04252, -6.22879)
C (6.65731, -0.22785, -4.33328)
H (6.94004, -0.37429, -3.28148)
H (6.15044, 0.73529, -4.43210)
H (7.57179, -0.16912, -4.93874)
Y (0.95672, 0.09448, -0.65210)
C (1.26169, 1.59816, 1.35743)
C (1.16622, 0.28219, 1.89913)
C (2.31554, -0.46001, 1.51909)
H (0.34192, -0.10004, 2.49257)
C (3.15538, 0.41480, 0.76088)
C (2.50039, 1.67562, 0.65186)
H (2.91899, 2.55721, 0.17164)
H (0.52884, 2.38959, 1.53523)
H (2.46962, -1.52324, 1.71923)
H (4.14616, 0.16930, 0.38527)
C (-0.70998, 1.73094, -1.54326)
C (0.54888, 2.40178, -1.51308)
C (1.42136, 1.75097, -2.44965)
H (0.75332, 3.31328, -0.94901)
C (0.67884, 0.68270, -3.06851)
C (-0.63576, 0.68212, -2.50984)
H (-1.44683, -0.00782, -2.74465)
H (-1.60282, 2.00521, -0.97699)
H (2.43514, 2.06351, -2.70572)
H (1.03860, -0.00288, -3.83840)
O (1.92565, -2.08502, -2.13371)
C (3.21614, -1.48097, -1.96730)
C (4.06217, -2.26326, -0.98367)
H (3.21113, -0.36624, -1.86954)
H (3.57290, -1.67713, -2.98328)
C (3.54435, -3.68786, -1.24809)
H (3.78128, -1.88250, 0.00548)
H (5.16293, -2.15554, -1.09598)
C (2.06364, -3.47409, -1.62959)
H (3.67868, -4.32313, -0.36101)
H (4.14059, -4.11491, -2.08335)
H (1.40688, -3.54758, -0.74002)
H (1.68873, -4.12063, -2.44494)
C (-4.01099, -2.39792, 2.45629)
C (-4.75369, -1.13388, 2.04622)
C (-5.06082, -1.17794, 0.55760)
C (-6.03351, -0.98485, 2.86274)
O (-3.94838, 0.02937, 2.36104)
Si (-2.59802, 0.64765, 1.60188)
S (-1.47216, -0.68948, 0.52044)
O (-3.13768, 1.85815, 0.60367)
C (-4.10904, 2.92463, 0.82802)
C (-3.91804, 3.94346, -0.29121)
C (-5.52565, 2.37340, 0.77144)
C (-3.89793, 3.58248, 2.18339)
O (-1.78915, 1.39849, 2.85105)
C (-1.78047, 1.10454, 4.28350)
C (-0.57877, 1.83383, 4.87435)
C (-3.04655, 1.62362, 4.95145)
C (-1.67843, -0.39209, 4.52752)
H (-4.63002, -3.26516, 2.19199)
H (-3.85263, -2.42011, 3.54081)
H (-3.04951, -2.47935, 1.93181)
H (-5.73331, -2.02600, 0.37365)
H (-5.56837, -0.26198, 0.23702)
H (-4.14612, -1.31266, -0.03329)
H (-5.80161, -0.91399, 3.93359)
H (-6.59437, -0.09245, 2.55737)
H (-6.67245, -1.86282, 2.71065)
H (-4.08067, 3.48014, -1.27104)
H (-4.64387, 4.75944, -0.17852)
H (-2.91280, 4.37887, -0.25915)
H (-5.71711, 1.68187, 1.60172)
H (-6.23816, 3.20645, 0.85454)
H (-5.71249, 1.85987, -0.17811)
H (-4.18748, 2.90462, 2.99623)
H (-2.85542, 3.89139, 2.31736)
H (-4.53176, 4.47863, 2.26207)
H (-0.68586, 2.91664, 4.73613)
H (-0.52003, 1.62777, 5.95213)
H (0.35576, 1.50862, 4.40507)
└──
It proved to me that players will do what is demanded of them. If they see a coach who cares and has a passion for the game they will respond.
They want structure and teaching. I had a great feeling when we had our "Final Exams" and watched them excecute the concepts and recall the vocabulary. It will be an every year thing. We've already been asked to add an extra week or two along with a special weekend year-round session. I love teaching basketball.
Many thanks to the V-Man for taking the time to amuse and inform us. You can catch him on 99.5 WRNO FM every Saturday (8-11am) and Sunday (9-11am). Also, be sure to check out his blog over at the WRNO site.